**Wanted**
It remains to filter the lines further below: keep the lines with the word "DFT".

**Input**
____________
No. 1
This record from the Open Molecules 2025 dataset describes a structure of composition C30H79I2NO10P in a non-equilibrium geometry. The level of theory is ωB97M-V/def2-TZVPD.

Each line ends with the Löwdin charge.
CARTESIAN COORDINATES (ANGSTROEM)
I -2.489 0.107 -4.643  0.907
I -2.918 2.257 -1.896  0.887
P 2.875 -2.117 -2.033  1.018
O 6.227 0.603 2.258  -0.090
O -1.443 1.695 2.328  -0.124
O -9.374 -4.599 -4.528  -0.085
O 5.916 -3.840 -0.909  -0.110
O 2.377 4.956 5.430  -0.095
O -1.252 2.875 6.960  -0.088
O -5.930 -1.895 -3.228  -0.098
O 2.185 0.407 1.909  -0.099
O -4.374 5.718 1.001  -0.102
O 2.822 -6.308 -2.982  -0.110
N 0.702 -3.063 -3.567  0.107
C 6.330 0.358 3.659  -0.313
C -0.122 -2.173 -3.953  0.005
C 6.828 -4.087 -1.976  -0.330
C 1.231 5.778 5.658  -0.306
C -4.396 7.074 0.552  -0.316
C -0.293 -1.167 -2.873  -0.339
C -7.209 -1.559 -5.281  -0.084
C -0.036 -2.082 -1.664  -0.099
C 2.750 -0.439 -1.311  -0.410
C -9.584 -5.529 -3.466  -0.317
C -1.165 1.000 -1.988  -0.792
C -1.514 3.074 1.940  -0.306
C -0.766 0.932 5.568  -0.087
C -0.021 1.830 -2.575  -0.160
C -2.339 3.904 2.902  -0.072
C 4.175 0.087 -1.084  -0.123
C 1.141 -2.893 -2.163  -0.366
C 1.663 1.733 2.076  -0.304
C 3.938 -7.191 -3.169  -0.307
C 0.777 6.487 4.395  -0.087
C 4.575 -7.570 -1.848  -0.079
C 7.745 -2.903 -2.223  -0.084
C -9.912 -4.832 -2.159  -0.092
C -7.181 -1.464 -3.766  -0.312
C -1.509 -0.278 -2.760  -0.737
C -5.222 7.960 1.466  -0.090
C 5.451 -0.800 4.095  -0.083
C 3.369 -1.779 -3.779  -0.248
C -0.349 1.792 6.747  -0.313
C 2.526 2.579 2.990  -0.065
H 0.644 1.249 -3.200  0.056
H 5.718 -1.705 3.549  0.078
H 3.547 -8.068 -3.680  0.113
H -5.243 -1.330 -3.597  0.022
H -1.926 3.853 3.911  0.070
H 2.272 0.246 -2.001  0.048
H 7.405 -4.964 -1.690  0.113
H -10.410 -6.164 -3.779  0.112
H -7.011 -2.581 -5.606  0.076
H 8.451 -3.112 -3.027  0.078
H -2.370 4.944 2.582  0.066
H 2.218 -0.009 2.778  0.075
H -8.696 -6.159 -3.350  0.108
H -0.275 1.191 7.660  0.110
H 4.950 -6.683 -1.330  0.065
H 0.545 5.761 3.614  0.057
H -4.784 7.116 -0.471  0.107
H 4.939 -0.664 -1.251  0.046
H 2.588 -1.271 -4.337  0.032
H 0.636 -0.602 -2.980  0.110
H 0.564 2.235 -1.762  0.079
H 5.305 0.814 2.070  0.046
H 4.400 -0.583 3.883  0.053
H -7.384 -0.438 -3.443  0.112
H -3.359 7.405 0.534  0.110
H 3.156 -5.528 -2.533  0.047
H 3.632 -2.709 -4.258  0.034
H 0.449 5.116 6.025  0.100
H 7.166 -2.016 -2.496  0.063
H 4.673 -6.714 -3.826  0.104
H 1.565 7.141 4.015  0.073
H -0.868 -2.781 -1.617  0.139
H 1.023 -3.817 -4.168  0.188
H -6.439 -0.920 -5.720  0.068
H -1.750 0.488 5.742  0.077
H 4.379 0.890 -1.779  0.078
H 2.582 2.140 3.988  0.079
H -5.211 8.995 1.123  0.076
H 1.454 6.505 6.445  0.111
H -10.092 -5.555 -1.363  0.074
H 7.377 0.137 3.854  0.113
H 6.270 -4.332 -2.890  0.098
H -0.050 0.125 5.399  0.074
H 1.188 -3.892 -1.754  0.113
H 1.621 2.169 1.077  0.109
H -9.090 -4.181 -1.851  0.065
H -0.547 -2.191 -4.940  0.120
H 2.216 -0.427 -0.369  0.058
H -2.121 2.504 7.143  0.081
H -4.831 7.924 2.483  0.076
H 2.126 3.586 3.091  0.061
H -8.178 -1.249 -5.674  0.083
H -6.259 7.621 1.498  0.074
H -0.110 7.092 4.583  0.076
H 0.625 2.241 6.563  0.105
H 5.385 -3.073 -1.149  0.002
H 5.554 -0.991 5.164  0.077
H -3.365 3.534 2.947  0.078
H 3.545 2.646 2.602  0.074
H -0.836 1.532 4.664  0.044
H 6.066 1.266 4.211  0.108
H -0.485 3.434 1.902  0.097
H 4.266 0.506 -0.096  0.056
H -1.933 3.133 0.932  0.050
H -7.939 -2.107 -3.322  0.095
H -2.346 1.362 2.365  0.091
H -5.284 5.402 1.015  0.082
H 4.214 -1.106 -3.736  0.045
H 0.073 -1.596 -0.709  0.131
H 0.641 1.673 2.462  0.074
H 3.089 5.528 5.123  0.082
H -0.409 2.648 -3.156  0.045
H -1.006 0.758 -0.948  0.067
H -8.637 -4.032 -4.279  0.048
H -2.239 -0.819 -2.176  0.077
H -10.801 -4.211 -2.274  0.077
H 5.408 -8.256 -2.001  0.081
H 3.843 -8.049 -1.197  0.079
H 8.304 -2.663 -1.319  0.082

- Charge: +1
- DFT total energy: -2933.9634 a.u.


No. 2
____________

**Written answer**
- DFT total energy: -2933.9634 a.u.